Archdiocese launches EnCourage chapter for families of those with same-sex attraction

People pray at St. John the Evangelist Church in San Diego in 2017 during a Mass to mark the 20th anniversary of "Always Our Children," a pastoral message to families with LGBT members from the U.S. bishops' marriage and family life committee. Starting Jan. 8, the Archdiocese of Detroit will offer a monthly EnCourage ministry support group for family and friends of loved ones who experience same-sex attraction. (CNS photo/David Maung)

Support ministry focuses on helping family members offer Christ-like witness to loved ones, build healthy relationships based on truth, trust

DETROIT — If there’s a way to describe the Church’s approach to ministering and teaching about the beauty of marriage, human sexuality and chastity, it might be summed up in five words from Ephesians 4:15: “Live the truth in love.”

But for parents, friends, siblings and children of people who experience same-sex attraction, the pressures and sensitivities of daily life can make it challenging to live and effectively witness to the truth of the Gospel.

Since 1980, Courage, the Church’s apostolate to those with same-sex attraction seeking to live chaste and holy lives, has helped men and women discover and live the truth and beauty of God’s revealed plan for human sexuality.

== These materials data were left in the entry by mistake ==
/*
Record 1
Computed powder diffraction line list of Zr2CoOs for Cu Kα (weighted mean of Kα1 and Kα2), from a cell relaxed with PBE.
Kinematic intensities with the Lorentz-polarization factor, no thermal factor.

Cell and atoms:
Cell lengths 4.610, 4.610, 4.610 Å; angles 60.00, 60.00, 60.00 degrees
Atoms (fractional coordinates):
Zr 0.250 0.250 0.250
Zr 0.750 0.750 0.750
Co 0.000 0.000 0.000
Os 0.500 0.500 0.500

Main lines, low angle first (2θ = 10–90°):
2θ = 23.6°, d = 3.764 Å, I 19
2θ = 27.4°, d = 3.260 Å, I 2
2θ = 39.1°, d = 2.305 Å, I 100
2θ = 46.2°, d = 1.966 Å, I 11
2θ = 56.5°, d = 1.630 Å, I 17
2θ = 62.1°, d = 1.496 Å, I 5
2θ = 70.8°, d = 1.331 Å, I 34
2θ = 75.8°, d = 1.255 Å, I 4
2θ = 84.0°, d = 1.153 Å, I 11
2θ = 88.8°, d = 1.102 Å, I 4

---

Record 2
Computed powder diffraction line list of NaAuI4O12 for Cu Kα (weighted mean of Kα1 and Kα2), from a cell relaxed with PBE.
Kinematic intensities with the Lorentz-polarization factor, no thermal factor.

Cell and atoms:
Cell lengths 11.149, 4.740, 12.511 Å; angles 90.00, 116.71, 90.00 degrees
Atoms (fractional coordinates):
Na 0.000 0.000 0.000
Na 0.000 0.500 0.500
Au 0.500 0.000 0.500
Au 0.500 0.500 0.000
I 0.158 0.053 0.320
I 0.158 0.447 0.820
I 0.320 0.002 0.652
I 0.320 0.498 0.152
I 0.680 0.502 0.848
I 0.680 0.998 0.348
I 0.842 0.553 0.180
I 0.842 0.947 0.680
O 0.056 0.179 0.846
O 0.056 0.321 0.346
O 0.152 0.218 0.185
O 0.152 0.282 0.685
O 0.172 0.638 0.025
O 0.172 0.862 0.525
O 0.325 0.220 0.436
O 0.325 0.280 0.936
O 0.340 0.737 0.271
O 0.340 0.763 0.771
O 0.452 0.698 0.120
O 0.452 0.802 0.620
O 0.548 0.198 0.380
O 0.548 0.302 0.880
O 0.660 0.237 0.229
O 0.660 0.263 0.729
O 0.675 0.720 0.064
O 0.675 0.780 0.564
O 0.828 0.138 0.475
O 0.828 0.362 0.975
O 0.848 0.718 0.315
O 0.848 0.782 0.815
O 0.944 0.679 0.654
O 0.944 0.821 0.154

Main lines, low angle first (2θ = 10–90°):
2θ = 20.4°, d = 4.364 Å, I 100
2θ = 20.7°, d = 4.282 Å, I 28
2θ = 24.7°, d = 3.611 Å, I 40
2θ = 28.8°, d = 3.104 Å, I 45
2θ = 28.9°, d = 3.091 Å, I 47
2θ = 29.4°, d = 3.033 Å, I 66
2θ = 32.1°, d = 2.787 Å, I 31
2θ = 38.3°, d = 2.349 Å, I 32
2θ = 48.4°, d = 1.882 Å, I 48
2θ = 50.6°, d = 1.806 Å, I 23

---

Record 3
Computed powder diffraction line list of YMg2 for Cu Kα (weighted mean of Kα1 and Kα2), from a cell relaxed with PBE.
Kinematic intensities with the Lorentz-polarization factor, no thermal factor.

Cell and atoms:
Cell lengths 6.059, 6.059, 9.840 Å; angles 90.00, 90.00, 120.00 degrees
Atoms (fractional coordinates):
Y 0.333 0.667 0.065
Y 0.333 0.667 0.435
Y 0.667 0.333 0.565
Y 0.667 0.333 0.935
Mg 0.000 0.000 0.000
Mg 0.000 0.000 0.500
Mg 0.171 0.342 0.750
Mg 0.171 0.829 0.750
Mg 0.342 0.171 0.250
Mg 0.658 0.829 0.750
Mg 0.829 0.171 0.250
Mg 0.829 0.658 0.250

Main lines, low angle first (2θ = 10–90°):
2θ = 16.9°, d = 5.248 Å, I 25
2θ = 29.5°, d = 3.030 Å, I 71
2θ = 32.2°, d = 2.781 Å, I 100
2θ = 34.8°, d = 2.580 Å, I 85
2θ = 35.4°, d = 2.535 Å, I 44
2θ = 49.5°, d = 1.842 Å, I 19
2θ = 54.0°, d = 1.697 Å, I 42
*/

A lesser known, but just as important partner ministry, called EnCourage, offers prayerful support and spiritual assistance for family members and friends who might find themselves at a loss for how to lovingly approach the delicate subject — especially when a family member doesn’t share the Church’s views.

Starting from DFT lattice parameters and positions (PBE), the powder XRD pattern of Pt2I2Cl was simulated for Cu Ka.
Lines closer than 0.1° are merged.

Structural model:
abc: 3.970 3.970 15.703
angles: 90.00 90.00 90.00
Element x y z (fractional)
Pt 0.000 0.500 0.250
Pt 0.000 0.500 0.750
Pt 0.500 0.000 0.250
Pt 0.500 0.000 0.750
I 0.000 0.000 0.126
I 0.000 0.000 0.874
I 0.500 0.500 0.374
I 0.500 0.500 0.626
Cl 0.000 0.000 0.500
Cl 0.500 0.500 0.000

Top 10 peaks for 2θ = 10–90°, in order of rising 2θ:
2θ/deg  d [Å]  I/Imax  hkl
11.3  7.851  100  0 0 2
23.1  3.849  13  1 0 1
28.2  3.163  20  1 0 3
33.9  2.643  44  1 1 2
39.5  2.283  60  1 1 4
45.7  1.985  25  2 0 0
47.2  1.924  13  2 0 2
47.5  1.914  18  1 1 6
67.1  1.396  16  2 0 8
80.3  1.196  16  3 1 4

----------

Entry 1:
Starting from DFT lattice parameters and positions (GGA-PBE), the powder X-ray diffraction pattern of TbGd2Sn5Pb2 was simulated for Cu Kα (weighted mean of Kα1 and Kα2).

The 6 most intense peaks (5° ≤ 2θ ≤ 70°), by intensity:
2θ/deg, intensity
32.52, 100
39.06, 32
66.66, 26
53.39, 22
34.93, 18
61.12, 12

Crystal structure
Cell lengths 13.050, 13.050, 4.611 Å; angles 90.00, 90.00, 159.64 degrees
Fractional coordinates of all 10 atoms:
Tb 0.000 0.000 0.000
Gd 0.189 0.811 0.000
Gd 0.811 0.189 0.000
Sn 0.097 0.903 0.500
Sn 0.291 0.709 0.500
Sn 0.500 0.500 0.500
Sn 0.709 0.291 0.500
Sn 0.903 0.097 0.500
Pb 0.403 0.597 0.000
Pb 0.597 0.403 0.000


Entry 2:
Starting from DFT lattice parameters and positions (GGA-PBE), the powder X-ray diffraction pattern of Tb2GdSn5Pb2 was simulated for Cu Kα (weighted mean of Kα1 and Kα2).

The 6 most intense peaks (5° ≤ 2θ ≤ 70°), by intensity:
2θ/deg, intensity
32.57, 100
34.87, 18
38.54, 17
39.78, 15
65.98, 14
67.68, 13

Crystal structure
Cell lengths 13.062, 13.062, 4.672 Å; angles 90.00, 90.00, 160.02 degrees
Fractional coordinates of all 10 atoms:
Tb 0.189 0.811 0.000
Tb 0.811 0.189 0.000
Gd 0.000 0.000 0.000
Sn 0.291 0.709 0.500
Sn 0.404 0.596 0.000
Sn 0.500 0.500 0.500
Sn 0.596 0.404 0.000
Sn 0.709 0.291 0.500
Pb 0.098 0.902 0.500
Pb 0.902 0.098 0.500

----------

Entry 1:
This entry pairs a crystal structure of USCl9 with its calculated powder diffraction line list. Radiation: Cu Kα (λ = 1.5418 Å). Structure: a DFT-relaxed cell (PBE, OQMD).

The 10 most intense peaks (2θ from 5° to 70°), low angle first:
(hkl)  2θ (°)  Rel. int.
1 0 1  11.4  22
1 1 1  14.1  100
0 0 2  15.6  42
0 2 0  16.6  62
2 1 0  18.6  47
0 2 2  22.9  46
2 1 2  24.4  39
0 3 2  29.6  22
3 0 3  34.6  29
3 2 3  38.6  21

Structural model:
```
data_USCl9
_symmetry_space_group_name_H-M 'P 21 21 21'
_symmetry_Int_Tables_number 19
_cell_length_a 10.678
_cell_length_b 10.684
_cell_length_c 11.338
_cell_angle_alpha 90.00
_cell_angle_beta 90.00
_cell_angle_gamma 90.00
loop_
_symmetry_equiv_pos_as_xyz
'x,y,z'
'-x+1/2,-y,z+1/2'
'x+1/2,-y+1/2,-z'
'-x,y+1/2,-z+1/2'
loop_
_atom_site_label
_atom_site_type_symbol
_atom_site_fract_x
_atom_site_fract_y
_atom_site_fract_z

Although the Archdiocese of Detroit has had an active Courage chapter for some time, the closest EnCourage meetings were held in the Diocese of Lansing — until now.

Starting Jan. 8, the archdiocese will begin offering a monthly EnCourage support group to help family and friends of those experiencing same-sex attraction or gender dysphoria to better understand their loved ones’ experiences and foster healthy relationships while bearing witness to the truth of the Gospel and Christ’s self-sacrificial love.

“Men and women who have same-sex attraction often feel isolated, and often don't experience that kind of love,” said Fr. Stephen Pullis, who will serve as chaplain for the Detroit EnCourage chapter. “And we know that parents and spouses and siblings and children at times need some help to show that kind of love to those in their lives.”

EnCourage meetings will help families find support and grow in prayer as they commit to living Catholic teaching about chastity, sexuality and marriage, Fr. Pullis said.

“It's not meant to be a place where all of those issues are debated in our culture or even in the Church. It’s meant to be a place where those who are committed to living the truth of the Gospel in this way can do that together,” Fr. Pullis said.

Meetings will be confidential, with times and locations not widely publicized. Those interested in attending may contact (313) 237-5900 or email [email protected].

In the Lansing diocese, EnCourage has served as a spiritual support for families — many from the Archdiocese of Detroit — since the 1990s.

David and Barb (whose names Detroit Catholic has changed at their request) joined the Lansing diocese’s EnCourage chapter about five years ago after their adult son told them he was in a same-sex relationship. The couple didn’t know how to reconcile their son’s news — and their love for him — with their deeply held Catholic faith. Initially, they reacted emotionally.

“We had never been counseled on how to react to our child's same-sex attraction, and I responded in a very, very angry way,” which caused a lot of hurt and distrust in the family, including with the couple’s other children, David told Detroit Catholic. “Had we been prepared for how to respond, we might not have alienated our children to that point.”

David said the couple knew basic Catholic teaching — that the Church calls people to love those with same-sex attraction while not affirming individuals in acting upon those feelings — but struggled with how to witness that truth to others in a loving, non-confrontational way.

After searching for spiritual support and advice, the couple found EnCourage. Through regular meetings with a chaplain and other families in similar situations, they learned how to prayerfully navigate complex situations and offer love and support in a healthy, authentically Catholic way.

After not speaking with their son for a year or two, relationships were eventually mended, but the couple wrestled with practical questions about their child’s same-sex relationship, Barb said.

“We had a lot of questions. What if they come to our house and want to stay overnight? What do we do?” Barb said. “How do we show our love while at the same time remaining true to our faith?”

The couple also has benefitted from the support of other EnCourage families, knowing they aren’t alone, Barb said.

“This has brought us much closer to God,” Barb said. “We’ve learned to depend on our faith through these struggles, and we’ve learned a lot about our faith.”

# 1
Rb3Th3HgTe8: simulated X-ray diffraction stick pattern (Cu Ka), based on a cell relaxed with GGA-PBE.
Peak positions follow from Bragg's law for the DFT cell and can differ from measured ones.

Main lines, by intensity (5 to 70 degrees two-theta):
2theta, d (Å), intensity
26.15, 3.408, 100
10.36, 8.540, 52
38.75, 2.324, 38
35.83, 2.506, 35
33.08, 2.708, 21
47.35, 1.920, 20
62.78, 1.480, 16
40.22, 2.242, 13

Structural model:
```
Rb3Th3HgTe8
1.0
8.0446 -4.6499 0.0000
8.0446 4.6499 0.0000
-5.3610 0.0000 8.5397
Rb Th Hg Te
3 3 1 8
Direct
0.0000 0.0000 0.0000
0.0000 0.5000 0.0000
0.5000 0.0000 0.0000
0.0000 0.5000 0.5000
0.5000 0.0000 0.5000
0.5000 0.5000 0.5000
0.0000 0.0000 0.5000
0.2412 0.2412 0.6984
0.2418 0.7153 0.6989
0.2640 0.2640 0.2919
0.2847 0.7582 0.3011
0.7153 0.2418 0.6989
0.7360 0.7360 0.7081
0.7582 0.2847 0.3011
0.7588 0.7588 0.3016
```



# 2
Rb6TlHg4: simulated X-ray diffraction stick pattern (Cu Ka), based on a cell relaxed with GGA-PBE.
Peak positions follow from Bragg's law for the DFT cell and can differ from measured ones.

Main lines, by intensity (5 to 70 degrees two-theta):
2theta, d (Å), intensity
29.72, 3.006, 100
26.35, 3.382, 89
27.58, 3.234, 63
24.73, 3.599, 62
34.82, 2.577, 58
8.49, 10.413, 53
19.76, 4.494, 48
13.09, 6.764, 46

Structural model:
```
Rb6TlHg4
1.0
12.0244 0.0000 0.0000
-6.0122 10.4135 0.0000
0.0000 0.0000 8.8964
Rb Tl Hg
12 2 8
Direct
0.0547 0.5273 0.0000
0.1325 0.2650 0.3189
0.1325 0.8675 0.3189
0.2650 0.1325 0.8189
0.4727 0.5273 0.0000
0.4727 0.9453 0.0000
0.5273 0.0547 0.5000
0.5273 0.4727 0.5000
0.7350 0.8675 0.3189
0.8675 0.1325 0.8189
0.8675 0.7350 0.8189
0.9453 0.4727 0.5000
0.3333 0.6667 0.6065
0.6667 0.3333 0.1065
0.1950 0.3900 0.7200
0.1950 0.8050 0.7200
0.3333 0.6667 0.2607
0.3900 0.1950 0.2200
0.6100 0.8050 0.7200
0.6667 0.3333 0.7607
0.8050 0.1950 0.2200
0.8050 0.6100 0.2200
```



# 3
Rb3TlHg8: simulated X-ray diffraction stick pattern (Cu Ka), based on a cell relaxed with GGA-PBE.
Peak positions follow from Bragg's law for the DFT cell and can differ from measured ones.

Main lines, by intensity (5 to 70 degrees two-theta):
2theta, d (Å), intensity
32.30, 2.772, 100
33.98, 2.638, 88
31.72, 2.821, 52
32.59, 2.748, 49
16.80, 5.277, 42
55.77, 1.648, 35
57.24, 1.609, 33
32.86, 2.726, 32

Structural model:
```
Rb3TlHg8
1.0
3.2187 1.8583 10.9024
-3.2187 1.8583 10.9024
0.0000 -3.7166 10.9024
Rb Tl Hg
3 1 8
Direct
0.0000 0.0000 0.0000
0.1293 0.1293 0.1293
0.6187 0.6187 0.6187
0.4987 0.4987 0.4987
0.0605 0.0605 0.5623
0.0605 0.5623 0.0605
0.0641 0.5623 0.5623
0.3116 0.3116 0.3116
0.5623 0.0605 0.0605
0.5623 0.0641 0.5623
0.5623 0.5623 0.0641
0.8127 0.8127 0.8127
```



# 4
Rb2TlHg3: simulated X-ray diffraction stick pattern (Cu Ka), based on a cell relaxed with GGA-PBE.
Peak positions follow from Bragg's law for the DFT cell and can differ from measured ones.

Main lines, by intensity (5 to 70 degrees two-theta):
2theta, d (Å), intensity
33.44, 2.680, 100
31.85, 2.810, 70
27.94, 3.194, 50

The launch of the Detroit EnCourage chapter fulfills a promise by Archbishop Allen H. Vigneron to bolster the archdiocese’s resources for individuals experiencing same-sex attraction and their families.

In a 2019 pastoral note, “Imitating Christ’s Charity and Chastity,” on ministry to those with same-sex attraction, Archbishop Vigneron wrote that the Church’s teaching on homosexuality — and human sexuality in general — is often distorted in secular culture as something negative, when the truth is that God’s plan reveals a love much deeper.

“At a time when many have been conditioned to think about the Catholic Church in terms of what she stands against, we must insist upon the truth that the Gospel is first and fundamentally about God’s ‘yes’ to loving and saving us, and about our call to say ‘yes’ to him in return,” Archbishop Vigneron wrote. “It is particularly important to insist upon this truth when discussing the Church’s teaching on human sexuality, and perhaps most especially today when discussing the Church’s teaching concerning homosexuality.”

Fr. Pullis said EnCourage meetings will focus on helping families understand and show love in a Christ-like fashion, affirming the person while remaining firm in the truth of the Gospel.

“The Church offers love by showing forth Jesus, and no one loved more perfectly than Jesus,” Fr. Pullis said. “That love is not cheap; it cost him his life. And the way it costs us is by being his disciples, by living in the truth of his love and accepting the Gospel, which is the path to salvation.”

Learn more about EnCourage

To learn more about the Archdiocese of Detroit’s EnCourage ministry, or to attend a monthly meeting, call (313) 237-5900 or email [email protected]. All inquiries are strictly confidential.


same-sex attraction